**Activity:**
Repeat the rows below from the line with "0.167" to the end without altering anything.
**File:**
Compound: Sc2IrO
Source: the Alexandria database
Functional: PBE-GGA
Structure: optimized geometry

Unit cell a=3.025 b=3.025 c=22.885 alpha=90.00 beta=90.00 gamma=120.00
Positions (direct):
1 Sc 0.000 0.000 0.109
2 Sc 0.000 0.000 0.891
3 Sc 0.333 0.667 0.558
4 Sc 0.333 0.667 0.775
5 Sc 0.667 0.333 0.225
6 Sc 0.667 0.333 0.442
7 Ir 0.000 0.000 0.000
8 Ir 0.333 0.667 0.667
9 Ir 0.667 0.333 0.333
10 O 0.000 0.000 0.500
11 O 0.333 0.667 0.167
12 O 0.667 0.333 0.833

Computed properties:
- Total DFT energy (no corrections): -7.924 eV/atom
- E_form (uncorrected): -1304 meV/atom
- Symmetry: R-3m

***

Compound: Sc3IrO
Source: the Alexandria database
Functional: PBE-GGA
Structure: optimized geometry

Unit cell a=4.995 b=4.995 c=4.995 alpha=90.00 beta=90.00 gamma=90.00
Positions (direct):
1 Sc 0.000 0.000 0.500
2 Sc 0.000 0.500 0.000
3 Sc 0.500 0.000 0.000
4 Ir 0.000 0.000 0.000
5 O 0.500 0.500 0.500

Computed properties:
- Total DFT energy (no corrections): -6.647 eV/atom
- E_form (uncorrected): -84 meV/atom
- Symmetry: Pm-3m

***

no.,calculated density (Mg/m³)
1,8.19
2,4.57
**Here it is:**
11 O 0.333 0.667 0.167
12 O 0.667 0.333 0.833

Computed properties:
- Total DFT energy (no corrections): -7.924 eV/atom
- E_form (uncorrected): -1304 meV/atom
- Symmetry: R-3m

***

Compound: Sc3IrO
Source: the Alexandria database
Functional: PBE-GGA
Structure: optimized geometry

Unit cell a=4.995 b=4.995 c=4.995 alpha=90.00 beta=90.00 gamma=90.00
Positions (direct):
1 Sc 0.000 0.000 0.500
2 Sc 0.000 0.500 0.000
3 Sc 0.500 0.000 0.000
4 Ir 0.000 0.000 0.000
5 O 0.500 0.500 0.500

Computed properties:
- Total DFT energy (no corrections): -6.647 eV/atom
- E_form (uncorrected): -84 meV/atom
- Symmetry: Pm-3m

***

no.,calculated density (Mg/m³)
1,8.19
2,4.57